[Work order]
The reader should start at the top of the entries underneath and write out each line, ending with the one that has "0.000 0.500".

[File]
The following is a simulated X-ray powder pattern of Li2MgSi. It was derived from a structure optimized by DFT (PBE), using Cu Kα.

Atomic structure:
Lattice parameters (Å, degrees): 12.708 12.708 12.708 90.00 90.00 90.00
Space group Fm-3m (No. 225)
One atom of each set of equivalent atoms:
Li1 0.000 0.000 0.219
Li2 0.126 0.126 0.126
Li3 0.250 0.250 0.250
Mg1 0.126 0.126 0.374
Si1 0.000 0.000 0.000
Si2 0.000 0.000 0.500
Si3 0.000 0.250 0.250

Largest 6 diffraction maxima, in order of rising 2θ, 15 to 90 degrees two-theta:
2θ 23.2, rel. 11.0
2θ 24.3, rel. 39.1
2θ 40.1, rel. 100.0
2θ 47.5, rel. 17.3
2θ 58.1, rel. 16.1
2θ 72.9, rel. 31.2

[Written answer]
The following is a simulated X-ray powder pattern of Li2MgSi. It was derived from a structure optimized by DFT (PBE), using Cu Kα.

Atomic structure:
Lattice parameters (Å, degrees): 12.708 12.708 12.708 90.00 90.00 90.00
Space group Fm-3m (No. 225)
One atom of each set of equivalent atoms:
Li1 0.000 0.000 0.219
Li2 0.126 0.126 0.126
Li3 0.250 0.250 0.250
Mg1 0.126 0.126 0.374
Si1 0.000 0.000 0.000
Si2 0.000 0.000 0.500